Community Services

District Nurses

The district nursing service is designed to treat you in you own home with nursing skills if you are housebound..

You may be referred to this service by your doctor or other NHS departments.

The role of the district nusres includes wound management, continence management, administration of drugs, palliative care (terminal illness), professional advice and liaison with other agencies. 24 hour service is available.

If you need to contact the district nurses ring the following numbers.

  • Normal Hours – 08:00 to 17:00 Monday to Friday can be contacted on Tel: 01706 260746. This number is not always manned, but you can leave a message on their answering machine, or ring the "Single Point of Access" number below. Don't forget to leave your number.
  • Out of Hours - after 17:00 to 08:00 Tel: 01254 291146.
  • Single Point of Access - an alternative number to ring from 07:45 to 17:15 7 days a week, 365 days a year is 01254 359126. This phone is manned all the time.

Patient Information

  • Nursing notes and equipment may be left in your home, please keep them safe.
  • Please be aware that if you are not housebound you may be assessed as being able to attend the treatment room to complete your treatment, this is in keeping with the Haslingden integrated team referral criteria which is available on request.
  • Please order and collect all prescriptions, equipment and other supplies as promptly as possible.
  • Your visit will be arranged at a mutually convenient time; however this may not always be possible.
  • With your consent the nurse may need to liaise with agencies and professionals. A copy of written referrals is available on request.

Specialist Nurse Practitioner

Responsible for initial contact with all patients residing in nursing or residential care homes.

Services include specialist expertise in diagnosis and treatment including prescribing for the elderly.

Inserted here: records of crystals =
=====
1.
La2Cu5Pd12, optimized geometry, DFT PBE-GGA; volume = 317.9 Å³/cell; VASP energy = -99.8 eV for the cell shown; space-group type = R-3m, No. 166
1.0
6.840 0.163 0.752
0.691 6.807 0.752
0.176 0.163 6.879
Pd Cu La
12 5 2
direct
0.295 0.705 0.000
0.342 0.862 0.342
0.658 0.658 0.138
0.000 0.295 0.705
0.705 0.295 0.000
0.000 0.705 0.295
0.705 0.000 0.295
0.862 0.342 0.342
0.138 0.658 0.658
0.295 0.000 0.705
0.342 0.342 0.862
0.658 0.138 0.658
0.500 0.000 0.000
0.000 0.500 0.000
0.000 0.000 0.500
0.093 0.093 0.093
0.907 0.907 0.907
0.340 0.340 0.340
0.660 0.660 0.660

=====

2.
TiV2CoHg, optimized geometry, DFT PBE-GGA; volume = 111.4 Å³/cell; VASP energy = -24.6 eV for the cell shown; space-group type = P4/mmm, No. 123
1.0
4.892 0.000 0.000
0.000 4.656 0.000
0.000 0.000 4.892
Hg V Ti Co
1 2 1 1
direct
0.000 0.000 0.000
0.000 0.000 0.500
0.500 0.000 0.000
0.500 0.500 0.500
0.000 0.500 0.000

=====

3.
Sm2MgCd4, optimized geometry, DFT PBE-GGA; offset from the most stable computed form = 0.0 meV/atom; volume = 191.1 Å³/cell; VASP energy = -15.7 eV for the cell shown; space-group type = R-3m, No. 166
1.0
4.899 0.000 1.531
2.210 4.372 1.531
-0.087 -0.053 8.883
Cd Mg Sm
4 1 2
direct
0.378 0.378 0.866
0.127 0.127 0.620
0.622 0.622 0.134
0.873 0.873 0.380
0.000 0.000 0.000
0.747 0.747 0.758
0.253 0.253 0.242

=====

4.
Sm2AsO5, optimized geometry, DFT PBE-GGA; uncorrected formation energy = -20.7 eV per formula unit; volume = 478.0 Å³/cell; VASP energy = -238.2 eV for the cell shown; space-group type = P2_1/c, No. 14
1.0
6.913 0.000 -0.952
0.000 7.364 0.000
0.884 0.000 9.269
O Sm As
20 8 4
direct
0.907 0.623 0.097
0.009 0.324 0.396
0.245 0.605 0.276
0.509 0.176 0.396
0.391 0.449 0.645
0.059 0.860 0.880
0.441 0.360 0.120
0.407 0.877 0.097
0.255 0.105 0.724
0.593 0.123 0.903
0.609 0.551 0.355
0.755 0.395 0.724
0.891 0.051 0.645
0.109 0.949 0.355
0.093 0.377 0.903
0.991 0.676 0.604
0.491 0.824 0.604
0.745 0.895 0.276
0.941 0.140 0.120
0.559 0.640 0.880
0.227 0.621 0.025
0.933 0.644 0.346
0.433 0.856 0.346
0.567 0.144 0.654
0.773 0.379 0.975
0.067 0.356 0.654
0.273 0.121 0.975
0.727 0.879 0.025
0.577 0.607 0.686
0.423 0.393 0.314
0.923 0.107 0.314
0.077 0.893 0.686

=====

5.
Rb2FeAgI6, optimized geometry, DFT PBE-GGA; uncorrected formation energy = -6.5 eV per formula unit; offset from the most stable computed form = 0.0 meV/atom; volume = 772.2 Å³/cell; VASP energy = -58.1 eV for the cell shown; space-group type = P2_1/c, No. 14
1.0
8.031 0.002 0.015
0.002 8.152 0.000
0.081 0.000 11.796
Fe Ag I Rb
2 2 12 4
direct
0.500 0.000 0.500
0.000 0.500 0.000
0.000 0.500 0.500
0.500 0.000 0.000
0.284 0.700 0.028
0.449 0.007 0.733
0.784 0.800 0.528
0.551 0.993 0.267
0.797 0.788 0.978
0.216 0.200 0.472
0.949 0.493 0.233
0.702 0.288 0.522
0.203 0.212 0.022
0.051 0.507 0.767
0.298 0.712 0.478
0.716 0.300 0.972
0.482 0.447 0.250
0.518 0.553 0.750
0.982 0.052 0.750
0.018 0.948 0.250

=====

6.
=====
End of the records of crystals =

Health Visiting - Lancashire healthy young people and families

Health Visitors are Specialist Registered Nurses with a degree in preventative health care. They have specialist knowledge in areas such as nutrition, behaviour, sleep, immunisations, emotional health and relationships. 

They can be contacted between 09:00 to 17:00 Monday to Friday through the community office on 0300 247 0040.


Health Visiting - Lancashire Healthy Young People and Families Service (

Community Midwives

Community Midwives are concerned with the antenatal (pregnancy care) and postnatal health (after the birth of a baby for a few weeks) of all mothers.

Please note that we do not offer any drop in clinics and all appointments must be booked in advance.

• These crystal structures were left in the article by mistake:
+++
[1]
The following is a DFT calculation (PBE) of a relaxed CaIn2Ir crystal.

a = 5.907 Å, b = 9.619 Å, c = 3.182 Å
α = 90.00°, β = 107.92°, γ = 90.00°
Space group C2/m (No. 12)
Inequivalent atoms, fractional coordinates:
Ca  0.000  0.000  0.000 [2 per cell]
In  0.250  0.250  0.500 [4 per cell]
Ir  0.000  0.500  0.000 [2 per cell]

Summary:
The value obtained for the calculated total energy is -32.22 eV/cell. The formation energy comes out at 0.057 eV/atom. As for the density of states at the Fermi level: 1.54 states/eV/f.u. The calculation puts the spin magnetization at 0.0 μB/f.u.

[2]
The following is a DFT calculation (PBE) of a relaxed CaIn2Ir crystal.

a = 16.029 Å, b = 7.942 Å, c = 5.754 Å
α = 90.00°, β = 90.00°, γ = 90.00°
Space group Pnma (No. 62)
Inequivalent atoms, fractional coordinates:
Ca  0.103  0.250  0.248 [4 per cell]
Ca  0.138  0.750  0.461 [4 per cell]
In  0.039  0.053  0.751 [8 per cell]
In  0.212  0.550  0.968 [8 per cell]
Ir  0.070  0.750  0.979 [4 per cell]
Ir  0.185  0.250  0.735 [4 per cell]

Summary:
The value obtained for the calculated total energy is -144.89 eV/cell. The formation energy comes out at -0.443 eV/atom. As for the density of states at the Fermi level: 1.42 states/eV/f.u. The calculation puts the spin magnetization at 0.0 μB/f.u.

[3]
The following is a DFT calculation (PBE) of a relaxed Ca2In8Ir crystal.

a = 4.712 Å, b = 4.712 Å, c = 12.297 Å
α = 90.00°, β = 90.00°, γ = 90.00°
Space group P4/mmm (No. 123)
Inequivalent atoms, fractional coordinates:
Ca  0.000  0.000  0.194 [2 per cell]
In  0.000  0.500  0.000 [2 per cell]
In  0.000  0.500  0.378 [4 per cell]
In  0.500  0.500  0.191 [2 per cell]
Ir  0.000  0.000  0.500 [1 per cell]

Summary:
The value obtained for the calculated total energy is -38.18 eV/cell. The formation energy comes out at -0.310 eV/atom. As for the density of states at the Fermi level: 4.27 states/eV/f.u. The calculation puts the spin magnetization at 0.0 μB/f.u.

[4]
The following is a DFT calculation (PBE) of a relaxed CaIn4Ir2 crystal.

a = 18.333 Å, b = 4.506 Å, c = 7.372 Å
α = 90.00°, β = 90.00°, γ = 90.00°
Space group Pnma (No. 62)
Inequivalent atoms, fractional coordinates:
Ca  0.144  0.250  0.048 [4 per cell]
In  0.033  0.750  0.866 [4 per cell]
In  0.069  0.250  0.497 [4 per cell]
In  0.186  0.750  0.342 [4 per cell]
In  0.192  0.750  0.756 [4 per cell]
Ir  0.041  0.750  0.248 [4 per cell]
Ir  0.218  0.250  0.553 [4 per cell]

Summary:
The value obtained for the calculated total energy is -131.24 eV/cell. The formation energy comes out at -0.305 eV/atom. As for the density of states at the Fermi level: 3.53 states/eV/f.u. The calculation puts the spin magnetization at 0.0 μB/f.u.

[5]
The following is a DFT calculation (PBE) of a relaxed CaIn2Ir crystal.

a = 3.328 Å, b = 3.328 Å, c = 7.943 Å
α = 90.00°, β = 90.00°, γ = 90.00°
Space group P4/mmm (No. 123)
Inequivalent atoms, fractional coordinates:
Ca  0.000  0.000  0.000 [1 per cell]
In  0.500  0.500  0.298 [2 per cell]
+++
• So much for the crystal structures:

The following facilities are held at:

Haslingden Community Link and Children's Centre
Bury Road

Phone: 01282 804512

The midwives' clinics times will be given when you book.

Community Mental Health Team

A team of mental health professionals are available at

Balladen House
Union Road

(Someone pasted materials data at this point)
DFT (PBE) results for an optimized crystal structure of LiIn2BiH.

Total moment (μB/cell): 0.000
Space group: P4/mmm, No. 123
Electronic total energy (eV/atom): -2.92
DOS at the Fermi energy (states/eV/f.u.): 1.54
Crystal system: tetragonal

Lattice parameters (Å, degrees): 4.8654 4.8654 4.5972 90.00 90.00 90.00
Atoms (fractional coordinates):
Li  0.0000  0.0000  0.0000
In  0.0000  0.5000  0.5000
In  0.5000  0.0000  0.5000
Bi  0.5000  0.5000  0.0000
H  0.0000  0.0000  0.5000



DFT (PBE) results for an optimized crystal structure of NaIn2BiH.

Total moment (μB/cell): 0.000
Space group: P4/mmm, No. 123
Electronic total energy (eV/atom): -2.81
DOS at the Fermi energy (states/eV/f.u.): 1.53
Crystal system: tetragonal

Lattice parameters (Å, degrees): 4.9082 4.9082 4.7860 90.00 90.00 90.00
Atoms (fractional coordinates):
Na  0.0000  0.0000  0.0000
In  0.0000  0.5000  0.5000
In  0.5000  0.0000  0.5000
Bi  0.5000  0.5000  0.0000
H  0.0000  0.0000  0.5000



DFT (PBE) results for an optimized crystal structure of NaInBi2H.

Total moment (μB/cell): 0.000
Space group: P4/mmm, No. 123
Electronic total energy (eV/atom): -2.96
DOS at the Fermi energy (states/eV/f.u.): 2.30
Crystal system: tetragonal

Lattice parameters (Å, degrees): 4.8958 4.8958 5.1384 90.00 90.00 90.00
Atoms (fractional coordinates):
Na  0.0000  0.0000  0.0000
In  0.5000  0.5000  0.0000
Bi  0.0000  0.5000  0.5000
Bi  0.5000  0.0000  0.5000
H  0.0000  0.0000  0.5000



> What is the electronic total energy in the second record?

-2.81 eV/atom

* * * * *

An optimized crystal structure of La8Tb2Sc, computed with PBE-GGA.

Lattice parameters (Å, degrees): 5.8293 7.8904 16.8679 90.00 90.00 90.00
Space group Immm (No. 71)
Asymmetric unit:
1 La 0.0000 0.0000 0.1706 [4 per cell]
2 La 0.0000 0.2053 0.3715 [8 per cell]
3 La 0.0000 0.2764 0.0000 [4 per cell]
4 Tb 0.0000 0.5000 0.1992 [4 per cell]
5 Sc 0.0000 0.5000 0.5000 [2 per cell]

DOS(E_F) (states/eV/atom): 1.5461
Size of the total moment (μB/cell): 0.00
Energy of formation from the pure elements (kJ per mole of atoms): 10

* * * * *

Record 1
10
Lattice="4.3782 0.0000 0.0000 0.0000 4.3782 0.0000 0.0000 0.0000 10.7942" Properties=species:S:1:pos:R:3 comment="BaCu2Pd2 (PBE, optimized geometry)" energy_ev_per_atom=-4.270 ef_mev_per_atom=-169 n_ef_per_ev_cell=6.6 crystal_system=tetragonal mass_density_g_cm3=7.66 relative_energy_mev_per_atom=47 magmom_total_mub_per_atom=0.00 pbc="T T T"
Ba 0.0000 0.0000 0.0000
Ba 2.1891 2.1891 5.3971
Cu 0.0000 2.1891 2.6986
Cu 0.0000 2.1891 8.0957
Cu 2.1891 0.0000 2.6986
Cu 2.1891 0.0000 8.0957
Pd 0.0000 0.0000 4.0421
Pd 0.0000 0.0000 6.7521
Pd 2.1891 2.1891 1.3550
Pd 2.1891 2.1891 9.4392



Record 2
10

They have many functions in the community including care of people with chronic mental illness and long-term counselling needs. Access to this service is via the GP or directly on 0845 057 0056.